Your job search isn’t getting you the results you want.
Deep down, you know you’re capable of more in your career. You edit your resume, apply to jobs, try to network - but you still feel STUCK.
If you want to start figuring out why your job search isn’t working, my FREE masterclass, Job Search Recon, was made for you to identify the roadblocks in your job search so you can stop feeling frustrated and start making moves towards the career you deserve.

Does this sound like you?
You’re ambitious and driven, but you don’t feel like your career and job search reflects your worth.
You know you could make an impact at a great company, but you can’t figure out how to get seen.
You feel like your mindset is getting in your way, but you don’t know how to fix it.
You’re stuck in figuring out what is wrong in your job search, and are looking for answers.
If this sounds like you, Job Search Recon was literally MADE for you.
In this masterclass you’ll learn…
- How to conduct a job search recon (AKA - how to figure out what’s not working).
- The 4 areas to evaluate and improve in your job search.
- How to elevate your job search right NOW!
This masterclass will help you find what needs to change in your job search so you can start getting high-level results to be a top candidate in the job market.

About Chelsea Stokes
Once upon a time, I was a recruiter working in magical NYC, making a great salary, getting Sweetgreen for lunch, and working at a huge reputable company. I was living the dream I always imagined, but for some reason it didn't feel like it.
It seemed normal to work long hours and bring my laptop home every night. I didn't question when I was expected to answer emails on vacation. What I know now is that burnout was slowly starting to take its hold on me. After 3 years, I couldn't take it any more and left with hardly a plan in place.
Now I'm a career coach who has helped dozens of ambitious women get unstuck, find career clarity, and land dream careers. I know that with the right support and strategy, anyone can get into a career they love.
What people had to say...

"I joined the last Masterclass and look where I am now, using LinkedIn like a big girl, job searching like a pro, and learning what I never knew. I hope everyone in the Masterclass will have fun like I did."

"This Masterclass was SO incredible. Thank you Chelsea! I feel like it was the perfect motivator of what needs to be done to get to the next-level"

# Between two parts of the page: data records
/*
Entry 1:
PBE Na10Ca4Mg4SiS11O48, optimized geometry; DFT formation energy = -2420 meV per atom; magnetic moment = 0.00 μB/atom; corrected total energy (MP2020 scheme) = -0.238 hartree per atom
1.0
9.081 0.000 0.000
0.070 15.806 0.000
0.017 0.039 22.991
Na Ca Mg Si S O
30 12 12 3 33 144
direct
0.000 0.000 0.000 Na
0.005 0.663 0.341 Na
0.032 0.675 0.998 Na
0.051 0.646 0.662 Na
0.181 0.807 0.501 Na
0.209 0.175 0.497 Na
0.219 0.505 0.505 Na
0.348 0.316 0.919 Na
0.360 0.989 0.247 Na
0.360 0.990 0.756 Na
0.365 0.662 0.586 Na
0.369 0.326 0.416 Na
0.374 0.662 0.085 Na
0.504 0.161 0.339 Na
0.522 0.501 0.006 Na
0.551 0.145 0.664 Na
0.560 0.810 0.001 Na
0.681 0.307 0.501 Na
0.687 0.340 0.833 Na
0.687 0.646 0.161 Na
0.709 0.675 0.498 Na
0.719 0.005 0.505 Na
0.734 0.663 0.841 Na
0.735 0.325 0.169 Na
0.866 0.161 0.587 Na
0.866 0.831 0.916 Na
0.871 0.828 0.416 Na
0.873 0.161 0.085 Na
0.879 0.488 0.750 Na
0.882 0.489 0.252 Na
0.366 0.662 0.427 Ca
0.368 0.327 0.576 Ca
0.368 0.997 0.397 Ca
0.371 0.663 0.930 Ca
0.371 0.995 0.605 Ca
0.868 0.161 0.427 Ca
0.868 0.497 0.398 Ca
0.869 0.828 0.576 Ca
0.869 0.832 0.073 Ca
0.871 0.495 0.605 Ca
0.873 0.494 0.101 Ca
0.879 0.495 0.903 Ca
0.359 0.327 0.768 Mg
0.361 0.320 0.070 Mg
0.362 0.329 0.265 Mg
0.366 0.664 0.236 Mg
0.369 0.003 0.899 Mg
0.370 0.002 0.103 Mg
0.373 0.666 0.738 Mg
0.869 0.163 0.931 Mg
0.869 0.837 0.263 Mg
0.873 0.838 0.769 Mg
0.876 0.157 0.739 Mg
0.878 0.157 0.234 Mg
0.023 0.650 0.501 Si
0.523 0.150 0.501 Si
0.717 0.650 0.001 Si
0.018 0.015 0.837 S
0.018 0.303 0.833 S
0.019 0.345 0.501 S
0.024 0.983 0.168 S
0.026 0.681 0.173 S
0.066 0.667 0.830 S
0.069 0.995 0.502 S
0.077 0.324 0.170 S
0.171 0.824 0.673 S
0.172 0.167 0.330 S
0.181 0.490 0.003 S
0.211 0.181 0.673 S
0.211 0.811 0.330 S
0.222 0.141 0.001 S
0.226 0.483 0.673 S
0.228 0.509 0.330 S
0.229 0.858 0.001 S
0.509 0.475 0.169 S
0.513 0.509 0.831 S
0.517 0.182 0.169 S
0.519 0.845 0.501 S
0.523 0.816 0.832 S
0.564 0.829 0.170 S
0.568 0.495 0.502 S
0.576 0.162 0.834 S
0.655 0.002 0.000 S
0.672 0.324 0.675 S
0.672 0.667 0.328 S
0.711 0.337 0.001 S
0.712 0.311 0.327 S
0.712 0.681 0.674 S
0.726 0.983 0.673 S
0.727 0.010 0.330 S
0.002 0.725 0.117 O
0.046 0.816 0.323 O
0.051 0.170 0.681 O
0.056 0.147 0.995 O
0.062 0.492 0.675 O
0.062 0.832 0.721 O
0.063 0.163 0.284 O
0.063 0.507 0.330 O
0.064 0.852 0.005 O
0.085 0.502 0.054 O
0.094 0.813 0.616 O
0.095 0.476 0.950 O
0.099 0.175 0.388 O
0.143 0.674 0.886 O
0.159 0.003 0.554 O
0.159 0.980 0.450 O
0.166 0.318 0.116 O
0.171 0.332 0.221 O
0.171 0.660 0.781 O
0.180 0.315 0.827 O
0.182 0.006 0.843 O
0.183 0.343 0.506 O
0.186 0.669 0.180 O
0.187 0.990 0.165 O
0.204 0.659 0.500 O
0.232 0.223 0.615 O
0.232 0.767 0.387 O
0.249 0.087 0.053 O
0.260 0.745 0.680 O
0.265 0.907 0.949 O
0.266 0.899 0.673 O
0.267 0.090 0.328 O
0.269 0.570 0.998 O
0.270 0.570 0.284 O
0.271 0.243 0.324 O
0.272 0.425 0.720 O
0.274 0.450 0.616 O
0.276 0.896 0.330 O
0.277 0.760 0.283 O
0.278 0.541 0.388 O
0.282 0.232 0.719 O
0.285 0.227 0.009 O
*/

"OMG Chelsea, this was amazing! You're incredible. I love the 'car and Grand Canyon' analogies and when you were talking about manifesting. This was so impressive!"